I"ve got to get to GOAL
She's awesome! and so so helpful, I can email her anytime and she gets back to me within a day... her name is Krista DiFerdinando and she's a Master Trainer at the Philadelphia Sports Club in Chalfont... and no, you don't have to be a memeber of the club to go see her. She's in amazing shape! and competes in what she calls "Figure Competitions" so she totally knows her stuff. I'll send you a PM with her information.. I don't know that it should be floating out there on the internet.. but anyone who is interested in talking with her just let me know and I'll send you her info.
Hey there missy! I am 2+ years out and still 20 pounds from "goal" when I saw my surgeon for my 2 year check up he told me that my surgery was a success and he would be happy if I didn't loose another pound. Everyone's body is different. If you are doing your best exercising and getting in all your fluids and proteins most days then you are on track. At about 20 months out I had been in a stall for about 8 months - then I lost 15 pounds over the course of a month or so - the more you mix things up the better off you will be. I hover right around 190 right now, Dr Brader's goal for me originally was 170, BMI charts say I should be around 140 - well people would think that I was emaciated if I got that low. This seems to be where my body is comfortable - if I loose a few more pounds - great! It not thats OK too - I am still 137 pounds lighter then I was 2 years ago and I am thrilled to death with that!
Also maybe check your carbs - are you getting in too many of the "bleached blonde carbs" as Shauna calls them? They are just detrimental
Hope this helps!
Also maybe check your carbs - are you getting in too many of the "bleached blonde carbs" as Shauna calls them? They are just detrimental
Hope this helps!
I don't know what Pupkova will say. I haven't been there in a while. I was supposed to go in January, but I didn't. I should make my appointment soon actually now that I think about it.
I know that 76% loss of excess weight is considered successful WLS, but as I posted above, I just want to be skinny skinny for once in my life. I would like to be for the rest of my life, but at least to hit the mark would be great.
Your new avatar is super cute by the way!
I know that 76% loss of excess weight is considered successful WLS, but as I posted above, I just want to be skinny skinny for once in my life. I would like to be for the rest of my life, but at least to hit the mark would be great.
Your new avatar is super cute by the way!

"Hit the mark?"
So you can beat yourself up and be miserable when you deal with the slight regain?
Why push your body to an unreasonably low weight and set yourself up to be disappointed when a small amount of it creeps back on?
You need to go home and try on your fat pants tonight, stare in the mirror for a while and start to see the picture of yourself that the rest of the wrold does.
So you can beat yourself up and be miserable when you deal with the slight regain?
Why push your body to an unreasonably low weight and set yourself up to be disappointed when a small amount of it creeps back on?
You need to go home and try on your fat pants tonight, stare in the mirror for a while and start to see the picture of yourself that the rest of the wrold does.
Well this whole thread was a lesson in "Don't Set Yourself Up for Failure".
During our last 1st Saturday meeting Norm introduced "Balance" & "Finding Your Identity".
I like all the useful tips and encouragement here and just know Angela that you are more than a number. You don't need to hold onto a number for your entire life, but you do need to find balance in your life and identify who you've been, who you are now, and what you want to become. Set reasonable goals knowing they will have to change as you achieve them. Never stop goal setting and achieving until you reach the very end.
During our last 1st Saturday meeting Norm introduced "Balance" & "Finding Your Identity".
I like all the useful tips and encouragement here and just know Angela that you are more than a number. You don't need to hold onto a number for your entire life, but you do need to find balance in your life and identify who you've been, who you are now, and what you want to become. Set reasonable goals knowing they will have to change as you achieve them. Never stop goal setting and achieving until you reach the very end.
...I would almost never question Father Belk or Master Jedi Norm....
*however*, i think , that *if* some people are questioning 'am I at goal' - that little itty bitty part of the subconcious might be telling them they are slipping from the healthly routine...and a self - 'sanity check' (what is my protein intake each day, what are the calories I'm taking in, what are those calories made up of, when am i eatting them, am i exercising, et cetera) is in order to get back on the straight and narrow.
GRANTED - our beautiful NubianLilly appears to be doing everything in her power (ie.: is doing all the right/healthy physical things) - so that might not apply.
If you're/we're on the 'straight and narrow' - the 'tough part' is accepting it's not about a number, it's all about health and reflection. As we've heard before, when you start adding weight training the scale will not move, after some point, but you're cloting sizes will.
Of you're/we're not on the 'straight and narrow' - the easy way out is to fool yourself that you are still following a health diet and exercise routine.... and that, in my opinion, is what we need to be on guard for (i.e. fooling ourselves into accepting a self-induced non-healthly plateau).
I sure don't want to offend anyone so please just take what I'm thinking as someone who is ALSO learning along the journey (kinda like somone who's never had children spouting off about how to handle certain aspects of child rearing).
Best regards,
*however*, i think , that *if* some people are questioning 'am I at goal' - that little itty bitty part of the subconcious might be telling them they are slipping from the healthly routine...and a self - 'sanity check' (what is my protein intake each day, what are the calories I'm taking in, what are those calories made up of, when am i eatting them, am i exercising, et cetera) is in order to get back on the straight and narrow.
GRANTED - our beautiful NubianLilly appears to be doing everything in her power (ie.: is doing all the right/healthy physical things) - so that might not apply.
If you're/we're on the 'straight and narrow' - the 'tough part' is accepting it's not about a number, it's all about health and reflection. As we've heard before, when you start adding weight training the scale will not move, after some point, but you're cloting sizes will.
Of you're/we're not on the 'straight and narrow' - the easy way out is to fool yourself that you are still following a health diet and exercise routine.... and that, in my opinion, is what we need to be on guard for (i.e. fooling ourselves into accepting a self-induced non-healthly plateau).
I sure don't want to offend anyone so please just take what I'm thinking as someone who is ALSO learning along the journey (kinda like somone who's never had children spouting off about how to handle certain aspects of child rearing).
Best regards,
I think you have a good point.
While i don't know that you were talking to me directly, I will sack up and say, no I don't always do everything right. I don't always eat the low fat or fat free cheese as i mentioned, I don't exercise 5-7 days a week and I don't always get all my protein.
There are definiately areas that I need to tighten up ( and i'm not just talking about my thighs)
My original thought though in starting this post was that tightening up loose ends isn't going to get me to a 30lbs weightloss in 3 months. (unrealistic goal i know) My thought was what mega changes can I do to really kick into high gear. Granted tightening up will get me closer than not doing it, but I wanted to see MAJOR change.
I don't want anyone to think that I'm delusional and thinking that there are not little things that I can tweak and that i'm following the program 24/7/365.
This is really a good thread... I LOVE IT!
Crystal structures that have nothing to do with the entry:
1.
# La2Pd2O5 (PBE, optimized geometry)
# Energy of formation, meV/atom: -2572
# E_tot, eV/atom: -7.19
data_La2Pd2O5
_cell_length_a 6.753
_cell_length_b 6.753
_cell_length_c 5.667
_cell_angle_alpha 90.00
_cell_angle_beta 90.00
_cell_angle_gamma 90.00
_symmetry_space_group_name_H-M 'P 42/m'
_symmetry_Int_Tables_number 84
loop_
_symmetry_equiv_pos_as_xyz
'x,y,z'
'-x,-y,-z'
'-y,x,z+1/2'
'y,-x,-z+1/2'
'-x,-y,z'
'x,y,-z'
'y,-x,z+1/2'
'-y,x,-z+1/2'
loop_
_atom_site_label
_atom_site_fract_x
_atom_site_fract_y
_atom_site_fract_z
La1 0.108 0.262 0.000
Pd1 0.309 0.405 0.500
O1 0.000 0.000 0.250
O2 0.199 0.597 0.243



2.
# Be2P3NO10 (PBE, optimized geometry)
# Energy of formation, meV/atom: -2188
# Size of the total moment, μB per atom: 0.13
# E_tot, eV/atom: -6.85
data_Be2P3NO10
_cell_length_a 12.524
_cell_length_b 8.741
_cell_length_c 9.120
_cell_angle_alpha 90.00
_cell_angle_beta 117.68
_cell_angle_gamma 90.00
_symmetry_space_group_name_H-M 'C 1 2/c 1'
_symmetry_Int_Tables_number 15
loop_
_symmetry_equiv_pos_as_xyz
'x,y,z'
'-x,-y,-z'
'-x,y,-z+1/2'
'x,-y,z+1/2'
'x+1/2,y+1/2,z'
'-x+1/2,-y+1/2,-z'
'-x+1/2,y+1/2,-z+1/2'
'x+1/2,-y+1/2,z+1/2'
loop_
_atom_site_label
_atom_site_fract_x
_atom_site_fract_y
_atom_site_fract_z
Be1 0.250 0.036 0.067
P1 0.000 0.386 0.750
P2 0.180 0.189 0.747
N1 0.000 0.188 0.250
O1 0.049 0.272 0.654
O2 0.105 0.475 0.877
O3 0.174 0.075 0.870
O4 0.197 0.116 0.610
O5 0.228 0.184 0.161



3.
# CsLiO (PBE, optimized geometry)
# Energy of formation, meV/atom: -1567
# Size of the total moment, μB per atom: 0.00
# E_tot, eV/atom: -3.92
data_CsLiO
_cell_length_a 6.862
_cell_length_b 3.650
_cell_length_c 9.791
_cell_angle_alpha 90.00
_cell_angle_beta 90.00
_cell_angle_gamma 90.00
_symmetry_space_group_name_H-M 'P n m a'
_symmetry_Int_Tables_number 62
loop_
_symmetry_equiv_pos_as_xyz
'x,y,z'
'-x,-y,-z'
'-x+1/2,-y,z+1/2'
'x+1/2,y,-z+1/2'
'x+1/2,-y+1/2,-z+1/2'
'-x+1/2,y+1/2,z+1/2'
'-x,y+1/2,-z'
'x,-y+1/2,z'
loop_
_atom_site_label
_atom_site_fract_x
_atom_site_fract_y
_atom_site_fract_z
Cs1 0.005 0.250 0.174
Li1 0.097 0.750 0.507
O1 0.184 0.250 0.540



4.
# ZrVFe (PBE, optimized geometry)
# Energy of formation, meV/atom: -169
# Size of the total moment, μB per atom: 0.25
# E_tot, eV/atom: -8.87
# Distance to the lowest polymorph of the same formula, kcal/mol of atoms: 0.41
data_ZrVFe
_cell_length_a 8.319
_cell_length_b 5.130
_cell_length_c 8.734
_cell_angle_alpha 90.00
_cell_angle_beta 90.00
_cell_angle_gamma 90.00
_symmetry_space_group_name_H-M 'A m m 2'
_symmetry_Int_Tables_number 38
loop_
_symmetry_equiv_pos_as_xyz
'x,y,z'
'-x,-y,z'
'-x,y,z'
'x,-y,z'
'x,y+1/2,z+1/2'
'-x,-y+1/2,z+1/2'
'-x,y+1/2,z+1/2'
'x,-y+1/2,z+1/2'
loop_
_atom_site_label
_atom_site_fract_x
_atom_site_fract_y
_atom_site_fract_z
Zr1 0.184 0.000 0.000
Zr2 0.303 0.000 0.667
V1 0.000 0.000 0.492
V2 0.500 0.000 0.163
V3 0.500 0.249 0.917
Fe1 0.000 0.248 0.744
Fe2 0.247 0.000 0.332



5.
# GdGaPd2 (PBE, optimized geometry)
# Energy of formation, meV/atom: -883
So much for the crystal structures:
While i don't know that you were talking to me directly, I will sack up and say, no I don't always do everything right. I don't always eat the low fat or fat free cheese as i mentioned, I don't exercise 5-7 days a week and I don't always get all my protein.
There are definiately areas that I need to tighten up ( and i'm not just talking about my thighs)
My original thought though in starting this post was that tightening up loose ends isn't going to get me to a 30lbs weightloss in 3 months. (unrealistic goal i know) My thought was what mega changes can I do to really kick into high gear. Granted tightening up will get me closer than not doing it, but I wanted to see MAJOR change.
I don't want anyone to think that I'm delusional and thinking that there are not little things that I can tweak and that i'm following the program 24/7/365.
This is really a good thread... I LOVE IT!